# Listing
No. 1
## CsInGa2Rh (PBE-GGA)

Data for a relaxed structure of CsInGa2Rh.

a = 4.980 Å, b = 4.980 Å, c = 5.286 Å
α = 90.00°, β = 90.00°, γ = 90.00°
Positions (direct):
Rh 0.000 0.000 0.000
In 0.000 0.000 0.500
Cs 0.500 0.500 0.500
Ga 0.000 0.500 0.000
Ga 0.500 0.000 0.000

Computed properties:
Energy relative to the elements (eV/atom): -0.214
Density (Mg/m³): 6.2
SG: P4/mmm
Size of the total moment (Bohr magnetons per cell): 0.000
V (Å³ per atom): 26.2

***

No. 2
## Tb4H2I5 (PBE-GGA)

Data for a relaxed structure of Tb4H2I5.

a = 4.013 Å, b = 8.885 Å, c = 9.557 Å
α = 102.69°, β = 102.12°, γ = 90.00°
Positions (direct):
Tb 0.996 0.292 0.993
I 0.171 0.850 0.341
I 0.500 0.000 0.000
Tb 0.637 0.578 0.273
Tb 0.363 0.422 0.727
H 0.462 0.337 0.923
I 0.829 0.150 0.659
I 0.827 0.669 0.654
I 0.173 0.331 0.346
H 0.538 0.663 0.077
Tb 0.004 0.708 0.007

Computed properties:
Density (Mg/m³): 6.5
SG: C2/m
E (eV for the cell shown): -43.7
Size of the total moment (Bohr magnetons per cell): 0.001
V (Å³ per atom): 29.5

***

No. 3
## Na7Se2F2 (PBE-GGA)

Data for a relaxed structure of Na7Se2F2.

a = 6.422 Å, b = 6.257 Å, c = 6.422 Å
α = 90.01°, β = 95.08°, γ = 89.99°
Positions (direct):
Na 0.500 0.756 0.000
F 0.703 0.000 0.297
F 0.297 0.000 0.703
Se 0.231 0.500 0.231
Na 0.500 0.234 0.500
Se 0.769 0.500 0.769
Na 0.000 0.000 0.000
Na 0.000 0.756 0.500
Na 0.000 0.244 0.500
Na 0.500 0.244 0.000
Na 0.500 0.766 0.500

Computed properties:
Density (Mg/m³): 2.3
SG: Cmmm
Size of the total moment (Bohr magnetons per cell): 0.000
V (Å³ per atom): 23.4
Uncorrected formation energy (eV per atom): -1.339

***

No. 4
## Ca3ErZr2N6 (PBE-GGA)

Data for a relaxed structure of Ca3ErZr2N6.

a = 5.849 Å, b = 5.849 Å, c = 5.980 Å
α = 99.39°, β = 99.39°, γ = 120.02°
Positions (direct):
N 0.272 0.272 0.779
Zr 0.333 0.667 0.000
Er 0.000 0.000 0.000
N 0.927 0.581 0.781
N 0.728 0.728 0.221
Ca 0.833 0.167 0.500
N 0.419 0.073 0.219
Ca 0.500 0.500 0.500
N 0.581 0.927 0.781
N 0.073 0.419 0.219
Ca 0.167 0.833 0.500
Zr 0.667 0.333 0.000

Computed properties:
Density (Mg/m³): 5.5
SG: C2/m
Size of the total moment (Bohr magnetons per cell): 0.000
V (Å³ per atom): 14.0
Uncorrected formation energy (eV per atom): -1.363

***

No. 5
## SrAc2Cd2 (PBE-GGA)

Data for a relaxed structure of SrAc2Cd2.

a = 5.071 Å, b = 5.151 Å, c = 14.878 Å
α = 99.97°, β = 90.00°, γ = 90.00°
Positions (direct):
Cd 0.250 0.525 0.052
Sr 0.250 0.640 0.279
Cd 0.750 0.171 0.341
Ac 0.250 0.945 0.892
Ac 0.750 0.749 0.499
Cd 0.750 0.475 0.948
Cd 0.250 0.829 0.659
Ac 0.750 0.055 0.108
Ac 0.250 0.251 0.501
Sr 0.750 0.360 0.721

Computed properties:
Energy relative to the elements (eV/atom): -0.136
Density (Mg/m³): 6.7
SG: P2_1/m
Size of the total moment (Bohr magnetons per cell): 0.000
V (Å³ per atom): 38.3

***

No. 6
## AsPd2Pt (PBE-GGA)

Data for a relaxed structure of AsPd2Pt.

a = 4.030 Å, b = 3.951 Å, c = 3.951 Å
α = 90.00°, β = 90.00°, γ = 90.00°
Positions (direct):
Pt 0.500 0.500 0.500
Pd 0.000 0.000 0.500
Pd 0.000 0.500 0.000
As 0.500 0.000 0.000

Computed properties:
Energy relative to the elements (eV/atom): -0.114
Density (Mg/m³): 12.7
SG: P4/mmm
Size of the total moment (Bohr magnetons per cell): 0.000
V (Å³ per atom): 15.7

***

No. 7
## LiS (PBE-GGA)

Data for a relaxed structure of LiS.

a = 4.378 Å, b = 3.401 Å, c = 13.796 Å
α = 90.00°, β = 90.00°, γ = 90.00°
Positions (direct):
S 0.500 0.997 0.277
Li 0.500 0.477 0.137
S 0.000 0.003 0.223
S 0.000 0.003 0.777
Li 0.000 0.523 0.363
Li 0.000 0.156 0.000
Li 0.500 0.477 0.863
Li 0.500 0.844 0.500
S 0.500 0.997 0.723
Li 0.000 0.523 0.637
S 0.500 0.928 0.000
S 0.000 0.072 0.500

Computed properties:
Density (Mg/m³): 1.9
SG: Pmmn
Size of the total moment (Bohr magnetons per cell): 0.000
V (Å³ per atom): 17.1
Uncorrected formation energy (eV per atom): -0.771

***

No. 8
## Ba4Sr7Ca (PBE-GGA)

Data for a relaxed structure of Ba4Sr7Ca.

a = 6.873 Å, b = 15.009 Å, c = 8.050 Å
α = 98.54°, β = 64.73°, γ = 76.76°
Each line ends with the local moment (μB).
# Request
Could you find "0.750 0.055" and "LiS (PBE-GGA)" in the contents further above, and repeat these two lines and those between?
# Here it is
Ac 0.750 0.055 0.108
Ac 0.250 0.251 0.501
Sr 0.750 0.360 0.721

Computed properties:
Energy relative to the elements (eV/atom): -0.136
Density (Mg/m³): 6.7
SG: P2_1/m
Size of the total moment (Bohr magnetons per cell): 0.000
V (Å³ per atom): 38.3

***

No. 6
## AsPd2Pt (PBE-GGA)

Data for a relaxed structure of AsPd2Pt.

a = 4.030 Å, b = 3.951 Å, c = 3.951 Å
α = 90.00°, β = 90.00°, γ = 90.00°
Positions (direct):
Pt 0.500 0.500 0.500
Pd 0.000 0.000 0.500
Pd 0.000 0.500 0.000
As 0.500 0.000 0.000

Computed properties:
Energy relative to the elements (eV/atom): -0.114
Density (Mg/m³): 12.7
SG: P4/mmm
Size of the total moment (Bohr magnetons per cell): 0.000
V (Å³ per atom): 15.7

***

No. 7
## LiS (PBE-GGA)